(Wanted)
The reader should transcribe only the last part of the notes underneath, starting with the line that has "Symmetry: I4_1".

(Given)
=====
1.
Density functional theory data (GGA-PBE) for a relaxed structure of La3BeVS7.

## Properties
E_form, meV/atom: -2005.8
Symmetry: P6_3
Mass density, g/cm3: 4.3
Magnetic moment, μB/f.u.: 2.00
Crystal system: hexagonal

Cell lengths 10.195, 10.195, 5.949 Å; angles 90.00, 90.00, 120.00 degrees
Positions (direct):
1 La 0.137 0.388 0.000
2 La 0.251 0.863 0.000
3 La 0.388 0.251 0.500
4 La 0.612 0.749 0.000
5 La 0.749 0.137 0.500
6 La 0.863 0.612 0.500
7 Be 0.333 0.667 0.414
8 Be 0.667 0.333 0.914
9 V 0.000 0.000 0.270
10 V 0.000 0.000 0.770
11 S 0.076 0.217 0.521
12 S 0.113 0.595 0.284
13 S 0.141 0.924 0.521
14 S 0.217 0.141 0.021
15 S 0.333 0.667 0.767
16 S 0.405 0.518 0.284
17 S 0.482 0.887 0.284
18 S 0.518 0.113 0.784
19 S 0.595 0.482 0.784
20 S 0.667 0.333 0.267
21 S 0.783 0.859 0.521
22 S 0.859 0.076 0.021
23 S 0.887 0.405 0.784
24 S 0.924 0.783 0.021

2.
Density functional theory data (GGA-PBE) for a relaxed structure of Ca3Nd8Ru4O24.

## Properties
E_form, meV/atom: -2957.3
Symmetry: I4_1
Mass density, g/cm3: 6.5
Magnetic moment, μB/f.u.: 10.00
Crystal system: tetragonal

Cell lengths 11.450, 11.450, 11.450 Å; angles 120.21, 120.21, 89.63 degrees
Positions (direct):
1 Ca 0.000 0.000 0.000
2 Ca 0.210 0.210 0.000
3 Ca 0.466 0.966 0.500
4 Ca 0.716 0.716 0.000
5 Ca 0.750 0.250 0.500
6 Ca 0.960 0.460 0.500
7 Nd 0.085 0.774 0.267
8 Nd 0.101 0.835 0.689
9 Nd 0.146 0.412 0.311
10 Nd 0.162 0.351 0.766
11 Nd 0.167 0.738 0.971
12 Nd 0.179 0.149 0.430
13 Nd 0.488 0.017 0.070
14 Nd 0.498 0.429 0.530
15 Nd 0.507 0.818 0.733
16 Nd 0.524 0.757 0.189
17 Nd 0.568 0.335 0.811
18 Nd 0.585 0.396 0.234
19 Nd 0.718 0.748 0.570
20 Nd 0.767 0.196 0.029
21 Nd 0.899 0.968 0.470
22 Nd 0.946 0.417 0.930
23 Ru 0.333 0.584 0.250
24 Ru 0.334 0.585 0.751
25 Ru 0.335 0.083 0.750
26 Ru 0.337 0.085 0.255
27 Ru 0.830 0.082 0.745
28 Ru 0.832 0.587 0.752
29 Ru 0.833 0.583 0.249
30 Ru 0.835 0.080 0.248
31 O 0.005 0.764 0.418
32 O 0.147 0.079 0.717
33 O 0.149 0.569 0.236
34 O 0.169 0.955 0.194
35 O 0.171 0.664 0.725
36 O 0.180 0.397 0.568
37 O 0.196 0.421 0.007
38 O 0.223 0.998 0.002
39 O 0.247 0.236 0.305
40 O 0.257 0.979 0.510
41 O 0.302 0.738 0.217
42 O 0.319 0.583 0.920
43 O 0.333 0.913 0.764
44 O 0.337 0.255 0.741
45 O 0.346 0.587 0.582
46 O 0.362 0.430 0.283
47 O 0.414 0.189 0.993
48 O 0.414 0.926 0.188
49 O 0.434 0.175 0.503
50 O 0.469 0.747 0.490
51 O 0.488 0.771 0.936
52 O 0.497 0.507 0.778
53 O 0.503 0.213 0.311
54 O 0.514 0.596 0.259
55 O 0.521 0.085 0.783
56 O 0.663 0.399 0.080
57 O 0.672 0.931 0.497
58 O 0.676 0.988 0.012
59 O 0.681 0.684 0.758
60 O 0.692 0.497 0.511
61 O 0.705 0.011 0.286
62 O 0.725 0.419 0.714
63 O 0.729 0.719 0.221
64 O 0.738 0.226 0.812
65 O 0.748 0.246 0.274
66 O 0.761 0.975 0.806
67 O 0.829 0.612 0.432
68 O 0.835 0.552 0.064
69 O 0.901 0.191 0.689
70 O 0.925 0.922 0.242
71 O 0.931 0.942 0.695
72 O 0.939 0.446 0.275
73 O 0.941 0.753 0.790
74 O 0.963 0.151 0.210
75 O 0.972 0.473 0.726
76 O 0.976 0.664 0.988
77 O 0.986 0.181 0.489
78 O 0.996 0.222 0.998

3.
Density functional theory data (GGA-PBE) for a relaxed structure of CeSe2.

## Properties
E_form, meV/atom: -1329.6
Symmetry: R-3c
Mass density, g/cm3: 1.8
Magnetic moment, μB/f.u.: 0.00
Crystal system: trigonal

Cell lengths 15.782, 15.782, 15.782 Å; angles 117.37, 117.37, 117.37 degrees
Positions (direct):
1 Ce 0.180 0.750 0.320
2 Ce 0.250 0.680 0.820
3 Ce 0.320 0.180 0.750
4 Ce 0.680 0.820 0.250
5 Ce 0.750 0.320 0.180
6 Ce 0.820 0.250 0.680
7 Se 0.000 0.000 0.500
8 Se 0.000 0.500 0.000
9 Se 0.000 0.500 0.500
10 Se 0.004 0.496 0.750
11 Se 0.250 0.996 0.504
12 Se 0.496 0.750 0.004
13 Se 0.500 0.000 0.000
14 Se 0.500 0.000 0.500
15 Se 0.500 0.500 0.000
16 Se 0.504 0.250 0.996
17 Se 0.750 0.004 0.496
18 Se 0.996 0.504 0.250

4.
Density functional theory data (GGA-PBE) for a relaxed structure of CeAsO3.

## Properties
E_form, meV/atom: -2748.9
Symmetry: P2_1/m
Mass density, g/cm3: 6.2
Magnetic moment, μB/f.u.: 1.00
Crystal system: monoclinic
=====

(Written answer)
Symmetry: I4_1
Mass density, g/cm3: 6.5
Magnetic moment, μB/f.u.: 10.00
Crystal system: tetragonal

Cell lengths 11.450, 11.450, 11.450 Å; angles 120.21, 120.21, 89.63 degrees
Positions (direct):
1 Ca 0.000 0.000 0.000
2 Ca 0.210 0.210 0.000
3 Ca 0.466 0.966 0.500
4 Ca 0.716 0.716 0.000
5 Ca 0.750 0.250 0.500
6 Ca 0.960 0.460 0.500
7 Nd 0.085 0.774 0.267
8 Nd 0.101 0.835 0.689
9 Nd 0.146 0.412 0.311
10 Nd 0.162 0.351 0.766
11 Nd 0.167 0.738 0.971
12 Nd 0.179 0.149 0.430
13 Nd 0.488 0.017 0.070
14 Nd 0.498 0.429 0.530
15 Nd 0.507 0.818 0.733
16 Nd 0.524 0.757 0.189
17 Nd 0.568 0.335 0.811
18 Nd 0.585 0.396 0.234
19 Nd 0.718 0.748 0.570
20 Nd 0.767 0.196 0.029
21 Nd 0.899 0.968 0.470
22 Nd 0.946 0.417 0.930
23 Ru 0.333 0.584 0.250
24 Ru 0.334 0.585 0.751
25 Ru 0.335 0.083 0.750
26 Ru 0.337 0.085 0.255
27 Ru 0.830 0.082 0.745
28 Ru 0.832 0.587 0.752
29 Ru 0.833 0.583 0.249
30 Ru 0.835 0.080 0.248
31 O 0.005 0.764 0.418
32 O 0.147 0.079 0.717
33 O 0.149 0.569 0.236
34 O 0.169 0.955 0.194
35 O 0.171 0.664 0.725
36 O 0.180 0.397 0.568
37 O 0.196 0.421 0.007
38 O 0.223 0.998 0.002
39 O 0.247 0.236 0.305
40 O 0.257 0.979 0.510
41 O 0.302 0.738 0.217
42 O 0.319 0.583 0.920
43 O 0.333 0.913 0.764
44 O 0.337 0.255 0.741
45 O 0.346 0.587 0.582
46 O 0.362 0.430 0.283
47 O 0.414 0.189 0.993
48 O 0.414 0.926 0.188
49 O 0.434 0.175 0.503
50 O 0.469 0.747 0.490
51 O 0.488 0.771 0.936
52 O 0.497 0.507 0.778
53 O 0.503 0.213 0.311
54 O 0.514 0.596 0.259
55 O 0.521 0.085 0.783
56 O 0.663 0.399 0.080
57 O 0.672 0.931 0.497
58 O 0.676 0.988 0.012
59 O 0.681 0.684 0.758
60 O 0.692 0.497 0.511
61 O 0.705 0.011 0.286
62 O 0.725 0.419 0.714
63 O 0.729 0.719 0.221
64 O 0.738 0.226 0.812
65 O 0.748 0.246 0.274
66 O 0.761 0.975 0.806
67 O 0.829 0.612 0.432
68 O 0.835 0.552 0.064
69 O 0.901 0.191 0.689
70 O 0.925 0.922 0.242
71 O 0.931 0.942 0.695
72 O 0.939 0.446 0.275
73 O 0.941 0.753 0.790
74 O 0.963 0.151 0.210
75 O 0.972 0.473 0.726
76 O 0.976 0.664 0.988
77 O 0.986 0.181 0.489
78 O 0.996 0.222 0.998

3.
Density functional theory data (GGA-PBE) for a relaxed structure of CeSe2.

## Properties
E_form, meV/atom: -1329.6
Symmetry: R-3c
Mass density, g/cm3: 1.8
Magnetic moment, μB/f.u.: 0.00
Crystal system: trigonal

Cell lengths 15.782, 15.782, 15.782 Å; angles 117.37, 117.37, 117.37 degrees
Positions (direct):
1 Ce 0.180 0.750 0.320
2 Ce 0.250 0.680 0.820
3 Ce 0.320 0.180 0.750
4 Ce 0.680 0.820 0.250
5 Ce 0.750 0.320 0.180
6 Ce 0.820 0.250 0.680
7 Se 0.000 0.000 0.500
8 Se 0.000 0.500 0.000
9 Se 0.000 0.500 0.500
10 Se 0.004 0.496 0.750
11 Se 0.250 0.996 0.504
12 Se 0.496 0.750 0.004
13 Se 0.500 0.000 0.000
14 Se 0.500 0.000 0.500
15 Se 0.500 0.500 0.000
16 Se 0.504 0.250 0.996
17 Se 0.750 0.004 0.496
18 Se 0.996 0.504 0.250

4.
Density functional theory data (GGA-PBE) for a relaxed structure of CeAsO3.

## Properties
E_form, meV/atom: -2748.9
Symmetry: P2_1/m
Mass density, g/cm3: 6.2
Magnetic moment, μB/f.u.: 1.00
Crystal system: monoclinic